Editorial: Teachers’ union needs to aim higher
Published 10:00 am Wednesday, April 28, 2010
For a state that has prided itself on educational excellence and innovation, Minnesota now seems disinterested in racing to the top.
Minnesota last month failed to make the finalist list for the Obama administration’s Race to the Top program, which offered hundreds of millions of dollars to states that demonstrated a philosophy of improving quality and increasing accountability.
Key failings in the Minnesota application included a lack of support from the state teachers’ union, insufficient policies to close the achievement gap among students and the lack of more flexible teacher training.
The key roadblock for progress lies squarely with Education Minnesota, the state’s teachers’ union.
• Inserted here: data records:
=====
Starting from a cell relaxed with GGA-PBE, the PXRD pattern of SrB14Mo was calculated for Cu Kα, 1.54184 Å.
Intensities are scaled so that the largest is 100.

Largest 8 diffraction maxima, by angle, 10 to 80 degrees two-theta:
| 2θ/deg | I_rel | index |
| --- | --- | --- |
| 13.3 | 25 | 0 1 1 |
| 16.1 | 78 | 0 2 0 |
| 24.6 | 25 | 1 2 1 |
| 26.9 | 28 | 0 2 2 |
| 27.4 | 26 | 1 1 2 |
| 33.3 | 100 | 2 1 1 |
| 40.8 | 87 | 2 3 1 |
| 53.2 | 27 | 2 5 1 |

Cell and atoms:
Lattice parameters (Å, degrees): 5.8880 10.9775 8.3376 90.00 90.00 90.00
Space group Imma (No. 74)
Unique sites:
Sr: 0.0000 0.2500 0.1351 [4 per cell]
B: 0.0000 0.0815 0.6675 [8 per cell]
B: 0.0000 0.1213 0.8702 [8 per cell]
B: 0.0000 0.1662 0.4700 [8 per cell]
B: 0.1602 0.0601 0.3393 [16 per cell]
B: 0.2467 0.0770 0.5485 [16 per cell]
Mo: 0.2500 0.2500 0.7500 [4 per cell]

***

Starting from a cell relaxed with GGA-PBE, the PXRD pattern of SrB3Mo was calculated for Cu Kα, 1.54184 Å.
Intensities are scaled so that the largest is 100.

Largest 7 diffraction maxima, by angle, 10 to 80 degrees two-theta:
| 2θ/deg | I_rel | index |
| --- | --- | --- |
| 20.7 | 2 | 1 0 0 |
| 29.5 | 100 | 1 1 0 |
| 42.2 | 25 | 2 0 0 |
| 52.3 | 39 | 2 1 1 |
| 61.2 | 16 | 2 2 0 |
| 69.4 | 17 | 3 1 0 |
| 77.2 | 6 | 2 2 2 |

Cell and atoms:
Lattice parameters (Å, degrees): 4.2824 4.2824 4.2824 90.00 90.00 90.00
Space group Pm-3m (No. 221)
Unique sites:
Sr: 0.0000 0.0000 0.0000 [1 per cell]
B: 0.0000 0.5000 0.5000 [3 per cell]
Mo: 0.5000 0.5000 0.5000 [1 per cell]

***

Starting from a cell relaxed with GGA-PBE, the PXRD pattern of Tc3B4Mo3 was calculated for Cu Kα, 1.54184 Å.
Intensities are scaled so that the largest is 100.

Largest 8 diffraction maxima, by angle, 10 to 80 degrees two-theta:
| 2θ/deg | I_rel | index |
| --- | --- | --- |
| 33.2 | 41 | 0 3 1 |
| 33.5 | 40 | 0 1 3 |
| 35.7 | 35 | 1 2 0 |
| 35.8 | 35 | 1 0 2 |
| 41.8 | 100 | 1 2 2 |
| 44.5 | 47 | 1 3 1 |
| 44.7 | 47 | 1 1 3 |
| 48.1 | 32 | 0 2 4 |

Cell and atoms:
Lattice parameters (Å, degrees): 3.1149 8.5295 8.4443 90.00 90.00 90.00
Space group Amm2 (No. 38)
Unique sites:
Tc: 0.0000 0.0000 0.0000 [2 per cell]
Tc: 0.5000 0.2492 0.5858 [4 per cell]
B: 0.5000 0.0000 0.2181 [2 per cell]
B: 0.5000 0.0000 0.4483 [2 per cell]
B: 0.5000 0.1142 0.8354 [4 per cell]
Mo: 0.0000 0.0000 0.6632 [2 per cell]
Mo: 0.0000 0.1702 0.3343 [4 per cell]

***

Starting from a cell relaxed with GGA-PBE, the PXRD pattern of Tc5B2MoW2 was calculated for Cu Kα, 1.54184 Å.
Intensities are scaled so that the largest is 100.

Largest 8 diffraction maxima, by angle, 10 to 80 degrees two-theta:
| 2θ/deg | I_rel | index |
| --- | --- | --- |
| 36.5 | 94 | 2 1 1 |
| 39.7 | 93 | 4 1 0 |
| 40.3 | 35 | 2 2 1 |
| 40.9 | 23 | 3 3 0 |
| 42.6 | 100 | 3 1 1 |
| 43.2 | 31 | 4 2 0 |
| 46.0 | 28 | 3 2 1 |
| 75.3 | 28 | 4 1 2 |

Cell and atoms:
Lattice parameters (Å, degrees): 9.3680 9.3680 3.0377 90.00 90.00 90.00
Space group P4/mbm (No. 127)
Unique sites:
=====
One could expect Republican Gov. Tim Pawlenty to be critical of the union’s unwillingness to cooperate on filing for a second round of federal funds. But the disconnect by the union has become so pronounced that even its staunchest long-time allies — DFL lawmakers — are in a feud with Education Minnesota.
One key failing in Minnesota is a lack of alternative pathways to become a teacher. While traditional teaching degrees earned through colleges will always be the main source of producing teachers, it should not, as the union suggests, be the only source.
There needs to be a process for college graduates and other professionals to become teachers through non-traditional means.
The Legislature should pass legislation that will allow for those alternate pathways while still requiring the same level of quality as teachers coming through traditional systems. It has been done in other states.
DFL lawmakers are understandably reluctant to part ways with a group that has provided strong campaign support in the past. But legislators need to look at the benefit to students, not protect political allies.
Legislation is also needed that ties evaluations of teachers to student achievement.
The Obama administration has made clear it will support schools if they demonstrate a commitment to student achievement, teacher accountability and a willingness to make reforms. His approach has won support from across the political spectrum.
Education Minnesota argues that more financial support for smaller class sizes and teacher training will lift low-achieving schools and close the learning gap. Such a position is fantasy at a time when state finances are strained and will become worse.
Whether Minnesota gets Race to the Top funding in the next round — or whether it even bothers to apply — is not the main motivator for education reform.
Finding better ways to produce teachers, adding more accountability and giving the state the tools it needs to help low-achieving schools are necessary reforms that will help better educate students and prepare the state for the future.
**Here the piece breaks off for data records:**
=====
Record 1
The following is a theoretical XRD peak list of Li4Nb2V3Co3O16. It was derived from the GGA+U geometry in the Materials Project, using Cu Kα (weighted mean of Kα1 and Kα2).
Neutral-atom scattering factors, no anomalous dispersion.

Largest 12 diffraction maxima, by angle, 10 to 80 degrees two-theta:
2θ = 18.14°, d 4.891, I 228; 2θ = 19.35°, d 4.586, I 1000; 2θ = 19.44°, d 4.566, I 207; 2θ = 25.07°, d 3.552, I 237; 2θ = 32.37°, d 2.766, I 283; 2θ = 32.49°, d 2.756, I 257; 2θ = 35.02°, d 2.562, I 221; 2θ = 35.19°, d 2.550, I 388; 2θ = 35.82°, d 2.507, I 302; 2θ = 39.32°, d 2.291, I 185; 2θ = 44.65°, d 2.030, I 265; 2θ = 59.09°, d 1.563, I 143

Atomic structure:
```
data_Li4Nb2V3Co3O16
_space_group_name_H-M_alt 'P 1'
_space_group_IT_number 1
_cell_length_a 5.975
_cell_length_b 5.990
_cell_length_c 9.783
_cell_angle_alpha 89.67
_cell_angle_beta 89.89
_cell_angle_gamma 60.25
loop_
_space_group_symop_operation_xyz
'x,y,z'
loop_
_atom_site_label
_atom_site_fract_x
_atom_site_fract_y
_atom_site_fract_z
_atom_site_occupancy
Li1 0.000 0.000 0.000 1
Li2 0.002 0.000 0.497 1
Li3 0.349 0.296 0.406 1
Li4 0.673 0.645 0.906 1
Nb1 0.336 0.331 0.006 1
Nb2 0.661 0.676 0.507 1
V1 0.175 0.170 0.731 1
V2 0.657 0.169 0.723 1
V3 0.827 0.347 0.240 1
Co1 0.176 0.647 0.721 1
Co2 0.344 0.822 0.215 1
Co3 0.832 0.821 0.215 1
O1 0.007 0.005 0.809 1
O2 0.041 0.459 0.849 1
O3 0.162 0.171 0.101 1
O4 0.168 0.660 0.092 1
O5 0.334 0.296 0.611 1
O6 0.339 0.824 0.597 1
O7 0.476 0.023 0.851 1
O8 0.493 0.458 0.849 1
O9 0.535 0.928 0.352 1
O10 0.544 0.475 0.348 1
O11 0.666 0.167 0.100 1
O12 0.693 0.610 0.113 1
O13 0.834 0.829 0.598 1
O14 0.837 0.331 0.599 1
O15 0.979 0.476 0.347 1
O16 0.992 0.013 0.305 1
```

---

Record 2
The following is a theoretical XRD peak list of Sr2MgMoO6. It was derived from the GGA+U geometry in the Materials Project, using Cu Kα (weighted mean of Kα1 and Kα2).
Neutral-atom scattering factors, no anomalous dispersion.

Largest 12 diffraction maxima, by angle, 10 to 80 degrees two-theta:
2θ = 19.22°, d 4.617, I 301; 2θ = 31.60°, d 2.831, I 1000; 2θ = 31.73°, d 2.820, I 527; 2θ = 37.37°, d 2.406, I 101; 2θ = 39.02°, d 2.308, I 167; 2θ = 45.11°, d 2.010, I 201; 2θ = 45.49°, d 1.994, I 373; 2θ = 56.20°, d 1.637, I 206; 2θ = 56.45°, d 1.630, I 413; 2θ = 66.00°, d 1.416, I 224; 2θ = 66.30°, d 1.410, I 106; 2θ = 75.34°, d 1.261, I 176

Atomic structure:
```
data_Sr2MgMoO6
_space_group_name_H-M_alt 'I 4/m'
_space_group_IT_number 87
_space_group_name_Hall '-I 4'
_cell_length_a 5.639
_cell_length_b 5.639
_cell_length_c 8.040
_cell_angle_alpha 90.00
_cell_angle_beta 90.00
_cell_angle_gamma 90.00
loop_
_atom_site_label
_atom_site_fract_x
_atom_site_fract_y
_atom_site_fract_z
_atom_site_occupancy
Sr1 0.000 0.500 0.250 1
Mg1 0.000 0.000 0.000 1
Mo1 0.000 0.000 0.500 1
O1 0.000 0.000 0.258 1
O2 0.209 0.726 0.500 1
```

---

Record 3
=====
— Mankato Free Press, April 19